Worldwide Survey of DNS Servers Reveals Many Systems Vulnerable to Attacks

One in Four Servers Still Unpatched for the Kaminsky Vulnerability and Many More Open to Recursion

SANTA CLARA, CA--(Marketwire - November 10, 2008) - Infoblox Inc., a developer of appliances that deliver DNS and DHCP services, among others, and The Measurement Factory, experts in performance testing and protocol compliance, today announced results from the fourth-annual survey of domain name servers on the public Internet.

Top-line results indicate that despite the fact that most organizations are running recent versions of BIND and no longer using Microsoft DNS Servers for their external DNS servers, many organizations have not taken the necessary precautions to limit access to recursion or secure zone transfers. In addition, many still have not upgraded to the latest DNS software to protect against the recently discovered Kaminsky vulnerability and associated risk of DNS cache poisoning.

"Given the heightened awareness of DNS server vulnerabilities due to the recent Kaminsky discovery, it is surprising to see how many organizations are still leaving their DNS systems as potential victims of attack," commented Cricket Liu, Vice President of Architecture at Infoblox and author of O'Reilly & Associates' DNS and BIND, DNS & BIND Cookbook, and DNS on Windows Server 2003. "Even if an enterprise has gone to the trouble of patching against the Kaminsky vulnerability, there are many other aspects of configuration, like recursion and open zone transfers, that should also be secured. If not, organizations are essentially locking their door to their house, but leaving the windows wide open. Organizations clearly need to pay more attention to configurations and deployment architectures that are leaving their DNS infrastructures vulnerable to attacks and outages."

DNS servers are essential network infrastructure that map domain names (e.g., to IP addresses (e.g.,, directing Internet inquiries to the appropriate location. Domain name resolution conducted by these servers is required to perform any Internet-related request, whether for Web browsing, email, ecommerce, or cloud computing. Should an enterprise or organization's DNS systems become compromised by attacks, the results can be devastating, ranging from loss of a company's Web presence, inability of employees to access any outside Web services, and perhaps most damaging, redirection of Web and email traffic to bogus sites, resulting in data loss, identity theft, ecommerce fraud and more.

Following are the key 2008 DNS survey results, which are based on a sample that included 5 percent of the IPv4 address space, nearly 80 million addresses.


--  90% of name servers that run BIND run one of the most recent versions
    of BIND 9; a small but significant number of administrators continue to run
    older versions of BIND on Internet-facing name servers, putting their
    organizations at risk.
--  Only .17% still rely on Microsoft DNS Server, down from 2.7% (2007);
    usage of unsecure Microsoft DNS Servers connected to the Internet is
--  Support for Sender Protection Framework (SPF) within DNS for spam
    reduction increased from 12.6% of zones sampled to 16.7%; despite the
    complexity of SPF configuration, validating email senders is increasing in
    importance and organizations are taking email fraud seriously.


--  One in four DNS servers does not perform source port randomization --
    the "patch" for "the Kaminsky vulnerability"; the effort by vendors and the
    Internet's DNS community to encourage administrators to upgrade their name
    servers after the announcement of the Kaminsky vulnerability paid off;
    however, a surprising number have not been upgraded and are very vulnerable
    to cache poisoning.
--  More than 40% of Internet name servers allow recursive queries; there
    are still millions of open recursors on the Internet, a danger both to
    themselves and others -- they are vulnerable to cache poisoning and
    Distributed Denial of Service attacks.
--  30% of DNS servers surveyed allow zone transfers to arbitrary
    requestors; this leaves servers as easy targets for denial-of-service
--  Only .002% of DNS zones tested support DNSSEC; administrators have not
    been convinced of its importance -- perhaps intimidated by its complexity 
    -- but new mandates could mean a significant change in the near future.


--  Usage of IPv6 name servers continues to increase from .27% to .44%;
    while enterprises are investigating IPv6 and concerned about increasingly
    scarce IPv4 address space, adoption of IPv6 is still low -- address
    scarcity isn't yet considered a serious concern and they feel no urgency to
    adopt IPv6.

Call to Action

Based on these statistics, there are some clear calls to action for organizations with external DNS servers. Instead of waiting until they are attacked, all organizations should assess their DNS infrastructure and immediately take the necessary steps to make them more reliable and secure. Infoblox provides a number of free, automated tools that enable organizations to test their DNS infrastructure and identify weaknesses and vulnerabilities. These tools and many other resources, as well as the complete DNS Survey results are available on the Web site at:

About Infoblox

Infoblox appliances deliver utility-grade core network services, including domain name resolution (DNS), IP address assignment and management (IPAM/DHCP), authentication (RADIUS) and related services. Infoblox solutions, which provide the essential "glue" between networks and applications, are used by over 2,300 organizations worldwide, including over 100 of the Fortune 500. The company is headquartered in Santa Clara, Calif., and operates in more than 30 countries. For more information, call +1.408.625.4200, email, or visit

About The Measurement Factory

(Unrelated to this article: data records)
+++
First-principles (PBE) data for a relaxed structure of LiPm8Co2, as listed in Alexandria via LeMat-Bulk.

Summary:
D(E_F), states/eV per cell: 13.7
Total moment, μB per cell: 0.0
Mass density, g/cm³: 6.7
SG: Cm, No. 8
Electronic total energy, eV/atom: -4.864
Energy of formation from the pure elements, eV/atom: 0.06
Crystal system: monoclinic

Cell: 5.7422 8.0017 8.0017 Å, 116.51 97.02 97.02°
Fractional positions:
Co 0.5001 0.7128 0.2935
Co 0.5001 0.2935 0.7128
Pm 0.7972 0.6032 0.6032
Pm 0.4317 0.9218 0.6628
Pm 0.2031 0.4030 0.4030
Pm 0.5682 0.0843 0.3435
Pm 0.0001 0.7541 0.2517
Pm 0.4317 0.6628 0.9218
Pm 0.5682 0.3435 0.0843
Pm 0.0001 0.2517 0.7541
Li 0.9992 0.0033 0.0033

=====

# KTb3Sm2Se6 (PBE-GGA, relaxed)
# D(E_F) in states/eV/atom: 0.312
# Crystal system: monoclinic
# Final energy in eV/atom: -5.538
# Calculated volume in Å³/atom: 26.03
data_KTb3Sm2Se6
_chemical_formula_sum 'K2 Tb6 Sm4 Se12'
_cell_length_a 18.321
_cell_length_b 4.134
_cell_length_c 8.500
_cell_angle_alpha 90.00
_cell_angle_beta 103.98
_cell_angle_gamma 90.00
_space_group_name_H-M_alt 'C 1 2/m 1'
_space_group_IT_number 12
loop_
_space_group_symop_operation_xyz
'x,y,z'
'-x,-y,-z'
'-x,y,-z'
'x,-y,z'
'x+1/2,y+1/2,z'
'-x+1/2,-y+1/2,-z'
'-x+1/2,y+1/2,-z'
'x+1/2,-y+1/2,z'
loop_
_atom_site_label
_atom_site_fract_x
_atom_site_fract_y
_atom_site_fract_z
K1 0.000 0.000 0.000
Tb1 0.000 0.000 0.500
Tb2 0.164 0.500 0.824
Sm1 0.171 0.500 0.347
Se1 0.001 0.500 0.267
Se2 0.163 0.000 0.588
Se3 0.173 0.000 0.081

=====

A plane-wave DFT calculation with meta-GGA SCAN was carried out for Be3Ag at its PBEsol-relaxed geometry.

Geometry as POSCAR:
```
Be3Ag
1.0
3.0713 0.0000 0.0000
0.0000 3.6714 0.0000
0.0000 0.0000 7.3118
Be Ag
6 2
Direct
0.0000 0.0000 0.0000
0.0000 0.5000 0.2568
0.0000 0.5000 0.7432
0.5000 0.0000 0.2432
0.5000 0.0000 0.7568
0.5000 0.5000 0.5000
0.0000 0.0000 0.5000
0.5000 0.5000 0.0000
```

Properties
V: 10.3 A^3/atom
Polymorph energy (0 for the lowest one): 0.021 eV per atom
Crystal system: orthorhombic
ΔH_f (0 K): 0.105 eV per atom
Total magnetic moment: 0.0 μB per formula unit
Space-group type: Immm (71)

A plane-wave DFT calculation with meta-GGA SCAN was carried out for ErMn2SiC at its PBEsol-relaxed geometry.

Geometry as POSCAR:
```
ErMn2SiC
1.0
1.8205 -5.1935 0.0000
1.8205 5.1935 0.0000
0.0000 0.0000 6.8657
Er Mn Si C
2 4 2 2
Direct
0.0434 0.9566 0.7500
0.9566 0.0434 0.2500
0.3313 0.6687 0.5626
0.3313 0.6687 0.9374
0.6687 0.3313 0.0626
0.6687 0.3313 0.4374
0.2366 0.7634 0.2500
0.7634 0.2366 0.7500
0.5000 0.5000 0.0000
0.5000 0.5000 0.5000
```

Properties
V: 13.0 A^3/atom
Crystal system: orthorhombic
Uncorrected formation energy: -0.60 eV per atom
Total magnetic moment: 3.2 μB per formula unit
Space-group type: Cmcm (63)

A plane-wave DFT calculation with meta-GGA SCAN was carried out for YCuP2Cl at its PBEsol-relaxed geometry.

Geometry as POSCAR:
```
YCuP2Cl
1.0
4.3562 0.0000 0.0000
0.0000 4.3562 0.0000
0.0000 0.0000 4.9948
Y Cu P Cl
1 1 2 1
Direct
+++

The Measurement Factory provides a variety of products and services related to Internet testing and measurement, with a current focus on DNS, HTTP, and ICAP. Most of the Factory's products are available under open-source licenses. For more information, call +1-303-938-6863, email, or visit

Contact Information: PRESS RELEASE Media Contacts: Jennifer Jasper Infoblox 408.625.4309